8/1/2021 Raluca Ilie, Illinois ECE 3 min read
Advised by ECE Assistant Professor Raluca Ilie, Mei-Yun Lin was awarded the Future Investigators in NASA Earth and Space Science and Technology (FINESST) Fellowship for her proposal entitled "The Curious Case of Heavy Ions and Their Journey Through Space."
┌──
1.
For Li3SbS4, the GGA-PBE geometry in the Materials Project gives the calculated X-ray powder pattern in this record (Cu Kα (λ = 1.5418 Å)).
Intensities are scaled so that the largest is 100.

Cell and atoms:
abc: 12.4254 8.0073 6.9195
angles: 90.00 90.20 90.00
Space group Cc (No. 9)
Asymmetric unit:
Li  0.0000  0.0994  0.0000
Li  0.1688  0.3831  0.2054
Li  0.4312  0.1256  0.2599
Sb  0.2348  0.1551  0.6756
S  0.0276  0.1744  0.3385
S  0.1165  0.3398  0.8554
S  0.3169  0.3243  0.4307
S  0.4040  0.1579  0.9044

Peak list (10 most intense, 15 to 90 degrees two-theta, in order of falling intensity)
- 2θ 18.38, rel. 100
- 2θ 29.50, rel. 78
- 2θ 27.49, rel. 54
- 2θ 38.93, rel. 27
- 2θ 29.60, rel. 23
- 2θ 25.72, rel. 20
- 2θ 43.43, rel. 19
- 2θ 22.20, rel. 19
- 2θ 29.01, rel. 17
- 2θ 50.16, rel. 17

***

2.
For LiSmS2, the GGA-PBE geometry in the Materials Project gives the calculated X-ray powder pattern in this record (Cu Kα (λ = 1.5418 Å)).
Intensities are scaled so that the largest is 100.

Cell and atoms:
abc: 5.5611 5.5611 11.3078
angles: 90.00 90.00 90.00
Space group I4_1/amd (No. 141, origin choice 2)
Asymmetric unit:
Li  0.0000  0.2500  0.3750
Sm  0.0000  0.2500  0.8750
S  0.0000  0.2500  0.1221

Peak list (10 most intense, 15 to 90 degrees two-theta, in order of falling intensity)
- 2θ 17.77, rel. 100
- 2θ 32.19, rel. 54
- 2θ 45.77, rel. 39
- 2θ 37.01, rel. 32
- 2θ 28.61, rel. 30
- 2θ 31.65, rel. 28
- 2θ 27.63, rel. 24
- 2θ 57.06, rel. 20
- 2θ 46.17, rel. 19
- 2θ 43.60, rel. 19

***

3.
For LiSmS2, the GGA-PBE geometry in the Materials Project gives the calculated X-ray powder pattern in this record (Cu Kα (λ = 1.5418 Å)).
Intensities are scaled so that the largest is 100.

Cell and atoms:
abc: 4.0004 4.0004 5.4413
angles: 90.00 90.00 90.00
Space group P4/mmm (No. 123)
Asymmetric unit:
Li  0.0000  0.0000  0.0000
Sm  0.5000  0.5000  0.5000
S  0.0000  0.0000  0.5000
S  0.5000  0.5000  0.0000

Peak list (10 most intense, 15 to 90 degrees two-theta, in order of falling intensity)
- 2θ 16.29, rel. 100
- 2θ 22.22, rel. 98
- 2θ 31.63, rel. 95
- 2θ 46.30, rel. 63
- 2θ 35.78, rel. 58
- 2θ 32.92, rel. 43
- 2θ 40.08, rel. 42
- 2θ 27.68, rel. 40
- 2θ 45.34, rel. 34
- 2θ 57.16, rel. 33

***

4.
For LiSmS2, the GGA-PBE geometry in the Materials Project gives the calculated X-ray powder pattern in this record (Cu Kα (λ = 1.5418 Å)).
Intensities are scaled so that the largest is 100.

Cell and atoms:
abc: 4.0026 4.0026 18.6349
angles: 90.00 90.00 120.00
Space group R-3m (No. 166, hexagonal axes)
Asymmetric unit:
Li  0.0000  0.0000  0.0000
Sm  0.0000  0.0000  0.5000
S  0.0000  0.0000  0.2515

Peak list (10 most intense, 15 to 90 degrees two-theta, in order of falling intensity)
- 2θ 32.19, rel. 100
- 2θ 26.15, rel. 73
- 2θ 45.31, rel. 37
- 2θ 35.36, rel. 34
- 2θ 47.00, rel. 33
- 2θ 47.75, rel. 28
- 2θ 27.45, rel. 23
- 2θ 56.66, rel. 19
- 2θ 42.83, rel. 18
- 2θ 75.36, rel. 16

***

5.
└──
Written by Raluca Ilie, Illinois ECE
Illinois ECE graduate student Mei-Yun Lin was recently awarded the Future Investigators in NASA Earth and Space Science and Technology (FINESST) Fellowship for her proposal entitled "The Curious Case of Heavy Ions and Their Journey Through Space." The FINESST Fellowship provides research grants to graduate students who are designing and performing research projects relevant to the interests of the NASA Science Mission Directorate (SMD) in one or more of four divisions: Earth Sciences, Heliophysics, Planetary Science, and Astrophysics.
Advised by ECE Assistant Professor Raluca Ilie, Lin proposes to quantify the role of the heavy ions in the Earth’s ionosphere-magnetosphere system with further development of the polar wind model. Atomic N+, O+, and molecular N2+, NO+, and O2+ ions, are often thought to be gravitationally bounded, and only populate the Earth's lower atmosphere. Molecular ions are expected to undergo recombination reactions to form a pair of neutral atoms, due to the short dissociative recombination lifetime.
Therefore, they are required to obtain the additional energy on a short time-scale to escape from the Earth's ionosphere. Although past observations show the importance of the heavy ions in the high-altitude ionosphere and magnetosphere, the mechanisms responsible for accelerating the ionospheric heavy ions from eV to keV energies are still largely unknown. In the proposal, Lin and Ilie seek to solve for the production and transport of all relevant heavy ions species (N+, O+, N2+, NO+, and O2+) in the Earth's polar wind region and provide answers to the following questions:
1. What are the competing mechanisms to produce and transport all ionospheric heavy ions, including the molecular species, along open magnetic field lines?
(Data records, as found in the file)
........
Record 1
Calculated powder diffraction line list of BaNa5Pb2 for Cu Kα (weighted mean of Kα1 and Kα2), from a PBE-relaxed structure.

Cell and atoms:
abc: 7.9979 7.9979 7.9979
angles: 141.67 103.47 89.00
Atoms (fractional coordinates):
Ba 0.0000 0.0000 0.0000
Na 0.1468 0.3230 0.8238
Na 0.4993 0.3230 0.1762
Na 0.5000 0.0000 0.5000
Na 0.5007 0.6770 0.8238
Na 0.8532 0.6770 0.1762
Pb 0.2227 0.7227 0.5000
Pb 0.7773 0.2773 0.5000

Principal peaks in the range 10 to 90 degrees two-theta, in order of rising 2θ:
2θ (°), I/Imax
11.83, 30.4
15.53, 27.5
17.91, 62.7
19.13, 27.1
24.74, 100.0
28.99, 32.5
34.15, 22.6
35.77, 55.2
36.31, 37.7
50.71, 26.0

***

Record 2
Calculated powder diffraction line list of BaPtBr4 for Cu Kα (weighted mean of Kα1 and Kα2), from a PBE-relaxed structure.

Cell and atoms:
abc: 6.7218 6.7218 6.7218
angles: 112.29 112.29 103.97
Atoms (fractional coordinates):
Ba 0.0000 0.0000 0.0000
Pt 0.2500 0.7500 0.5000
Br 0.0155 0.9807 0.4981
Br 0.0193 0.5175 0.0349
Br 0.4825 0.5174 0.5019
Br 0.4826 0.9845 0.9651

Principal peaks in the range 10 to 90 degrees two-theta, in order of rising 2θ:
2θ (°), I/Imax
15.96, 100.0
21.47, 28.2
27.35, 43.2
28.75, 29.7
32.23, 18.2
33.85, 47.0
40.44, 19.7
44.05, 21.7
44.99, 21.9
56.43, 21.4

***

Record 3
Calculated powder diffraction line list of RbNa2GeF8 for Cu Kα (weighted mean of Kα1 and Kα2), from a PBE-relaxed structure.

Cell and atoms:
abc: 4.9237 5.0686 7.6438
angles: 91.66 94.38 90.23
Atoms (fractional coordinates):
Rb 0.0000 0.0000 0.0000
Na 0.4927 0.4959 0.7133
Na 0.5073 0.5041 0.2867
Ge 0.0000 0.0000 0.5000
F 0.1745 0.8125 0.3341
F 0.2236 0.8638 0.6779
F 0.2415 0.2753 0.4843
F 0.3007 0.4711 0.9941
F 0.6993 0.5289 0.0059
F 0.7585 0.7247 0.5157
F 0.7764 0.1362 0.3221
F 0.8255 0.1875 0.6659

Principal peaks in the range 10 to 90 degrees two-theta, in order of rising 2θ:
2θ (°), I/Imax
17.50, 44.2
18.07, 57.6
23.35, 45.5
25.18, 76.2
25.34, 100.0
28.54, 34.4
30.79, 35.0
33.99, 30.6
35.22, 26.8
35.41, 30.0

***

Record 4
Calculated powder diffraction line list of Cs2Ce3I8 for Cu Kα (weighted mean of Kα1 and Kα2), from a PBE-relaxed structure.

Cell and atoms:
abc: 10.7599 10.7599 7.6492
angles: 101.45 101.45 49.21
Atoms (fractional coordinates):
Cs 0.2442 0.2442 0.1792
Cs 0.7558 0.7558 0.8208
Ce 0.2807 0.7193 0.5000
Ce 0.5000 0.5000 0.0000
Ce 0.7193 0.2807 0.5000
I 0.0932 0.0932 0.4084
I 0.1495 0.6456 0.1083
I 0.3544 0.8505 0.8917
I 0.3855 0.3855 0.6179
I 0.6145 0.6145 0.3821
I 0.6456 0.1495 0.1083
I 0.8505 0.3544 0.8917
I 0.9068 0.9068 0.5916

Principal peaks in the range 10 to 90 degrees two-theta, in order of rising 2θ:
2θ (°), I/Imax
19.01, 19.8
23.98, 33.8
27.49, 63.0
28.13, 100.0
31.49, 28.1
32.76, 18.7
38.72, 29.9
40.23, 33.7
40.75, 45.0
49.44, 22.1

* * * * *

# Er8HgOs2
Theoretical powder X-ray diffraction pattern, copper Kα. Input: DFT lattice parameters and positions (GGA-PBE).

Most intense lines, 2θ = 10–90°, by angle:
2θ/deg, I_rel
31.46, 60
31.75, 47
33.42, 25
34.26, 21
34.86, 67
........
(The data records stop here)
2. How does the three-dimensional spatial distribution of heavy ions outflow, including molecular species, change during the geomagnetically active times?
This project combines advanced numerical tools to systematically examine the effect of season, solar activity, and wave heating on the evolution and structure of ionospheric outflow, by tracking the vertical transport of all relevant ion species along open magnetic field lines, as well as the horizontal transport across the polar cap as driven by solar wind conditions. Lin and Ilie will further develop the Seven ion Polar Wind Outflow Model (7iPWOM) to track the behavior of all major ionospheric species in the polar wind, from low altitude ionosphere to several Earth radii.
The 7iPWOM will be the first and only polar wind model to have the capability to study the behavior of the heavy ions, other than O+, in the Earth’s ionospheric outflow. The work can augment the knowledge of the plasma transport processes from the ionosphere to the magnetosphere, and help interpret the observations of the heavy ions, including molecular species, in the ionosphere-magnetosphere system from various missions, such as Arase satellite and ARTEMIS spacecraft.
____________
Li2MnOF3: computed powder XRD pattern (Cu Kα), based on the PBE+U geometry in Alexandria.

Main lines, in order of rising 2θ (15° ≤ 2θ ≤ 90°):
(0 0 1), 2θ 18.0, rel. 92.0; (2 0 -1), 2θ 18.5, rel. 100.0; (2 0 0), 2θ 21.1, rel. 43.1; (2 0 -2), 2θ 30.0, rel. 29.1; (0 2 1), 2θ 34.9, rel. 46.9; (2 2 -1), 2θ 35.1, rel. 36.4; (2 2 -2), 2θ 42.7, rel. 83.4; (4 0 0), 2θ 42.9, rel. 41.9; (0 4 0), 2θ 61.5, rel. 39.4; (6 2 -2), 2θ 62.7, rel. 24.4

Cell and atoms:
Lattice parameters (Å, degrees): 10.202 6.034 5.955 90.00 124.25 90.00
Space group C2/m (No. 12)
Symmetry-distinct sites (fractional):
Li1 0.000 0.000 0.000 [2 per cell]
Li2 0.000 0.000 0.500 [2 per cell]
Li3 0.124 0.500 0.407 [4 per cell]
Mn1 0.250 0.250 0.000 [4 per cell]
O1 0.245 0.000 0.188 [4 per cell]
F1 0.014 0.238 0.759 [8 per cell]
F2 0.242 0.000 0.730 [4 per cell]


Simulated powder XRD pattern
Compound: CeMg2Bi2
Radiation: Cu Kα
Structure: DFT lattice parameters and positions (GGA-PBE)
Lines closer than 0.1° are merged.

The 10 most intense peaks (2θ = 10–90°), by angle:
hkl 0 8 0, 26.52°, I = 23; hkl 1 3 1, 29.51°, I = 56; hkl 1 5 1, 32.44°, I = 100; hkl 2 0 0, 39.58°, I = 19; hkl 0 0 2, 39.70°, I = 19; hkl 2 8 0, 48.29°, I = 15; hkl 2 0 2, 57.31°, I = 13; hkl 2 8 2, 64.23°, I = 13; hkl 3 5 1, 67.33°, I = 12; hkl 1 5 3, 67.50°, I = 12

a b c (Å): 4.5539 26.8926 4.5408
angles (deg): 90.00 90.00 90.00
Space group Cmcm (No. 63)
Inequivalent atoms, fractional coordinates:
____________
Back to the page.
This proposal will enhance, complement, and augment the scientific yield from operating Heliophysics missions while guiding the development of new instrumentation and space missions, which is highly relevant to NASA's Heliophysics Program. The proposed study also has the potential to explain the changes in exospheric morphology and could lead to a better understanding of planetary atmospheric evolution based on the knowledge of the history of the Earth, which is aligned with the Planetary Research Program.
For more information on this year's FINESST recipients, click here.